Source
~~~
(1)
A relaxed structure of CrP7, computed with PBE-GGA.

ΔH_f (0 K)	538	kJ/mol of formula units

CIF file:
```
data_CrP7
_chemical_formula_sum 'Cr4 P28'
_space_group_name_H-M_alt 'F m -3 m'
_space_group_IT_number 225
_space_group_name_Hall '-F 4 2 3'
_cell_length_a 7.7202
_cell_length_b 7.7202
_cell_length_c 7.7202
_cell_angle_alpha 90.00
_cell_angle_beta 90.00
_cell_angle_gamma 90.00
loop_
_atom_site_label
_atom_site_type_symbol
_atom_site_fract_x
_atom_site_fract_y
_atom_site_fract_z
Cr1 Cr 0.0000 0.0000 0.0000
P1 P 0.0000 0.0000 0.5000
P2 P 0.0000 0.2500 0.2500
```

***

(2)
A relaxed structure of Cr5P, computed with PBE-GGA.

ΔH_f (0 K)	-82	kJ/mol of formula units
ΔE to the lowest computed polymorph	0.0000	eV per atom

CIF file:
```
data_Cr5P
_chemical_formula_sum 'Cr10 P2'
_space_group_name_H-M_alt 'C 1 2/m 1'
_space_group_IT_number 12
_cell_length_a 8.8357
_cell_length_b 2.9158
_cell_length_c 5.5860
_cell_angle_alpha 90.00
_cell_angle_beta 109.14
_cell_angle_gamma 90.00
loop_
_space_group_symop_operation_xyz
'x,y,z'
'-x,-y,-z'
'-x,y,-z'
'x,-y,z'
'x+1/2,y+1/2,z'
'-x+1/2,-y+1/2,-z'
'-x+1/2,y+1/2,-z'
'x+1/2,-y+1/2,z'
loop_
_atom_site_label
_atom_site_type_symbol
_atom_site_fract_x
_atom_site_fract_y
_atom_site_fract_z
Cr1 Cr 0.0000 0.0000 0.0000
Cr2 Cr 0.1648 0.5000 0.8319
Cr3 Cr 0.1706 0.5000 0.3363
P1 P 0.0000 0.0000 0.5000
```

***

(3)
A relaxed structure of Cr4P, computed with PBE-GGA.

ΔH_f (0 K)	320	kJ/mol of formula units
ΔE to the lowest computed polymorph	0.8409	eV per atom

CIF file:
```
data_Cr4P
_chemical_formula_sum 'Cr8 P2'
_space_group_name_H-M_alt 'I 4/m m m'
_space_group_IT_number 139
_space_group_name_Hall '-I 4 2'
_cell_length_a 3.5677
_cell_length_b 3.5677
_cell_length_c 10.5066
_cell_angle_alpha 90.00
_cell_angle_beta 90.00
_cell_angle_gamma 90.00
loop_
_atom_site_label
_atom_site_type_symbol
_atom_site_fract_x
_atom_site_fract_y
_atom_site_fract_z
Cr1 Cr 0.0000 0.0000 0.1108
Cr2 Cr 0.0000 0.5000 0.2500
P1 P 0.0000 0.0000 0.5000
```

***

(4)
A relaxed structure of Cr5P, computed with PBE-GGA.

ΔH_f (0 K)	-50	kJ/mol of formula units
ΔE to the lowest computed polymorph	0.0552	eV per atom

CIF file:
```
data_Cr5P
_chemical_formula_sum 'Cr5 P1'
_space_group_name_H-M_alt 'P 4/m m m'
_space_group_IT_number 123
_space_group_name_Hall '-P 4 2'
_cell_length_a 2.8907
_cell_length_b 2.8907
_cell_length_c 8.1987
_cell_angle_alpha 90.00
_cell_angle_beta 90.00
_cell_angle_gamma 90.00
loop_
_atom_site_label
_atom_site_type_symbol
_atom_site_fract_x
_atom_site_fract_y
_atom_site_fract_z
Cr1 Cr 0.0000 0.0000 0.0000
Cr2 Cr 0.0000 0.0000 0.3405
Cr3 Cr 0.5000 0.5000 0.1700
P1 P 0.5000 0.5000 0.5000
```

***

(5)
A relaxed structure of CrP3, computed with PBE-GGA.

ΔH_f (0 K)	-45	kJ/mol of formula units
ΔE to the lowest computed polymorph	0.0000	eV per atom

CIF file:
```
data_CrP3
_chemical_formula_sum 'Cr2 P6'
_space_group_name_H-M_alt 'I m m 2'
_space_group_IT_number 44
_cell_length_a 3.2507
_cell_length_b 7.2725
_cell_length_c 4.6884
_cell_angle_alpha 90.00
_cell_angle_beta 90.00
_cell_angle_gamma 90.00
loop_
_space_group_symop_operation_xyz
'x,y,z'
'-x,-y,z'
'-x,y,z'
'x,-y,z'
'x+1/2,y+1/2,z+1/2'
'-x+1/2,-y+1/2,z+1/2'
'-x+1/2,y+1/2,z+1/2'
'x+1/2,-y+1/2,z+1/2'
loop_
_atom_site_label
_atom_site_type_symbol
_atom_site_fract_x
_atom_site_fract_y
_atom_site_fract_z
Cr1 Cr 0.0000 0.0000 0.0000
P1 P 0.0000 0.3127 0.7895
P2 P 0.0000 0.5000 0.1458
```

***

(6)
A relaxed structure of Cr5P, computed with PBE-GGA.

ΔH_f (0 K)	179	kJ/mol of formula units
ΔE to the lowest computed polymorph	0.4504	eV per atom

CIF file:
```
data_Cr5P
_chemical_formula_sum 'Cr20 P4'
_space_group_name_H-M_alt 'F -4 3 m'
_space_group_IT_number 216
_space_group_name_Hall 'F -4 2 3'
_cell_length_a 6.6006
_cell_length_b 6.6006
_cell_length_c 6.6006
_cell_angle_alpha 90.00
_cell_angle_beta 90.00
_cell_angle_gamma 90.00
loop_
_atom_site_label
_atom_site_type_symbol
_atom_site_fract_x
_atom_site_fract_y
_atom_site_fract_z
Cr1 Cr 0.0000 0.0000 0.0000
~~~
Wanted
Repeat the contents further up from the first line to the one with "P4'" unchanged, please.
Solution
(1)
A relaxed structure of CrP7, computed with PBE-GGA.

ΔH_f (0 K)	538	kJ/mol of formula units

CIF file:
```
data_CrP7
_chemical_formula_sum 'Cr4 P28'
_space_group_name_H-M_alt 'F m -3 m'
_space_group_IT_number 225
_space_group_name_Hall '-F 4 2 3'
_cell_length_a 7.7202
_cell_length_b 7.7202
_cell_length_c 7.7202
_cell_angle_alpha 90.00
_cell_angle_beta 90.00
_cell_angle_gamma 90.00
loop_
_atom_site_label
_atom_site_type_symbol
_atom_site_fract_x
_atom_site_fract_y
_atom_site_fract_z
Cr1 Cr 0.0000 0.0000 0.0000
P1 P 0.0000 0.0000 0.5000
P2 P 0.0000 0.2500 0.2500
```

***

(2)
A relaxed structure of Cr5P, computed with PBE-GGA.

ΔH_f (0 K)	-82	kJ/mol of formula units
ΔE to the lowest computed polymorph	0.0000	eV per atom

CIF file:
```
data_Cr5P
_chemical_formula_sum 'Cr10 P2'
_space_group_name_H-M_alt 'C 1 2/m 1'
_space_group_IT_number 12
_cell_length_a 8.8357
_cell_length_b 2.9158
_cell_length_c 5.5860
_cell_angle_alpha 90.00
_cell_angle_beta 109.14
_cell_angle_gamma 90.00
loop_
_space_group_symop_operation_xyz
'x,y,z'
'-x,-y,-z'
'-x,y,-z'
'x,-y,z'
'x+1/2,y+1/2,z'
'-x+1/2,-y+1/2,-z'
'-x+1/2,y+1/2,-z'
'x+1/2,-y+1/2,z'
loop_
_atom_site_label
_atom_site_type_symbol
_atom_site_fract_x
_atom_site_fract_y
_atom_site_fract_z
Cr1 Cr 0.0000 0.0000 0.0000
Cr2 Cr 0.1648 0.5000 0.8319
Cr3 Cr 0.1706 0.5000 0.3363
P1 P 0.0000 0.0000 0.5000
```

***

(3)
A relaxed structure of Cr4P, computed with PBE-GGA.

ΔH_f (0 K)	320	kJ/mol of formula units
ΔE to the lowest computed polymorph	0.8409	eV per atom

CIF file:
```
data_Cr4P
_chemical_formula_sum 'Cr8 P2'
_space_group_name_H-M_alt 'I 4/m m m'
_space_group_IT_number 139
_space_group_name_Hall '-I 4 2'
_cell_length_a 3.5677
_cell_length_b 3.5677
_cell_length_c 10.5066
_cell_angle_alpha 90.00
_cell_angle_beta 90.00
_cell_angle_gamma 90.00
loop_
_atom_site_label
_atom_site_type_symbol
_atom_site_fract_x
_atom_site_fract_y
_atom_site_fract_z
Cr1 Cr 0.0000 0.0000 0.1108
Cr2 Cr 0.0000 0.5000 0.2500
P1 P 0.0000 0.0000 0.5000
```

***

(4)
A relaxed structure of Cr5P, computed with PBE-GGA.

ΔH_f (0 K)	-50	kJ/mol of formula units
ΔE to the lowest computed polymorph	0.0552	eV per atom

CIF file:
```
data_Cr5P
_chemical_formula_sum 'Cr5 P1'
_space_group_name_H-M_alt 'P 4/m m m'
_space_group_IT_number 123
_space_group_name_Hall '-P 4 2'
_cell_length_a 2.8907
_cell_length_b 2.8907
_cell_length_c 8.1987
_cell_angle_alpha 90.00
_cell_angle_beta 90.00
_cell_angle_gamma 90.00
loop_
_atom_site_label
_atom_site_type_symbol
_atom_site_fract_x
_atom_site_fract_y
_atom_site_fract_z
Cr1 Cr 0.0000 0.0000 0.0000
Cr2 Cr 0.0000 0.0000 0.3405
Cr3 Cr 0.5000 0.5000 0.1700
P1 P 0.5000 0.5000 0.5000
```

***

(5)
A relaxed structure of CrP3, computed with PBE-GGA.

ΔH_f (0 K)	-45	kJ/mol of formula units
ΔE to the lowest computed polymorph	0.0000	eV per atom

CIF file:
```
data_CrP3
_chemical_formula_sum 'Cr2 P6'
_space_group_name_H-M_alt 'I m m 2'
_space_group_IT_number 44
_cell_length_a 3.2507
_cell_length_b 7.2725
_cell_length_c 4.6884
_cell_angle_alpha 90.00
_cell_angle_beta 90.00
_cell_angle_gamma 90.00
loop_
_space_group_symop_operation_xyz
'x,y,z'
'-x,-y,z'
'-x,y,z'
'x,-y,z'
'x+1/2,y+1/2,z+1/2'
'-x+1/2,-y+1/2,z+1/2'
'-x+1/2,y+1/2,z+1/2'
'x+1/2,-y+1/2,z+1/2'
loop_
_atom_site_label
_atom_site_type_symbol
_atom_site_fract_x
_atom_site_fract_y
_atom_site_fract_z
Cr1 Cr 0.0000 0.0000 0.0000
P1 P 0.0000 0.3127 0.7895
P2 P 0.0000 0.5000 0.1458
```

***

(6)
A relaxed structure of Cr5P, computed with PBE-GGA.

ΔH_f (0 K)	179	kJ/mol of formula units
ΔE to the lowest computed polymorph	0.4504	eV per atom

CIF file:
```
data_Cr5P
_chemical_formula_sum 'Cr20 P4'